Trump Administration Rescinds Methane Rules

By: Timothy L. Thorne The Trump administration recently finalized a pair of regulations aimed at rolling back the Obama administration's 2016 New Source Performance Standards, which control methane emissions from new and modified sources in the oil and gas industry. Under the rules affected, the… Read more

Royalties and a ‘Proceeds-Plus’ Provision

By: Caroline K. Featherstone  In the recent case of Devon v. Sheppard, the Texas Court of Appeals addressed a highly unique royalty provision. The lease at issue provided that the royalty could be calculated based on a percentage of Devon and BP's gross proceeds from the sale of minerals… Read more

U.S. Forest Service v. Cowpasture River Preservation Association: Atlantic Coast Pipeline Gets Green Light

Materials data, kept here for reference
1.
The following is a PBE calculation of a relaxed structure of LaAs2Os, from the Alexandria database.

Lattice parameters (Å, degrees): 4.3358 4.9509 7.2449 90.00 90.00 90.00
Closest atoms and distances in Å follow each position.
Fractional coordinates of all 8 atoms:
La1 0.0000 0.0000 0.0000  8 As 3.06-3.29, 4 La 3.29
La2 0.5000 0.5000 0.0000  8 As 3.06-3.29, 4 La 3.29
As1 0.0000 0.5000 0.2983  4 Os 2.61-2.87, 1 As 2.92
As2 0.0000 0.5000 0.7017  4 Os 2.61-2.87, 1 As 2.92
As3 0.5000 0.0000 0.2983  4 Os 2.61-2.87, 1 As 2.92
As4 0.5000 0.0000 0.7017  4 Os 2.61-2.87, 1 As 2.92
Os1 0.0000 0.0000 0.5000  8 As 2.61-2.87
Os2 0.5000 0.5000 0.5000  8 As 2.61-2.87

Energy of formation   -120 meV/atom
Space group   Cmmm, No. 65
Polymorph energy (0 for the lowest one)   542 meV per atom
DOS(E_F)   0.809 states/eV per atom


2.
The following is a PBE calculation of a relaxed structure of DyEr3Ir2, from the Alexandria database.

Lattice parameters (Å, degrees): 4.5828 8.7062 7.1922 90.00 90.00 90.00
Closest atoms and distances in Å follow each position.
Fractional coordinates of all 12 atoms:
Dy1 0.0000 0.0866 0.0000  3 Ir 2.81-3.00
Dy2 0.0000 0.9134 0.5000  3 Ir 2.81-3.00
Er1 0.0000 0.3302 0.6315  4 Ir 2.86-2.92
Er2 0.0000 0.6698 0.1315  4 Ir 2.86-2.92
Er3 0.5000 0.1716 0.3483  4 Ir 2.86-2.95
Er4 0.5000 0.4130 0.9795  3 Ir 2.80-2.99
Er5 0.5000 0.5870 0.4795  3 Ir 2.80-2.99
Er6 0.5000 0.8284 0.8483  4 Ir 2.86-2.95
Ir1 0.0000 0.3449 0.2340  1 Dy 2.81, 6 Er 2.86-2.99
Ir2 0.0000 0.6551 0.7340  1 Dy 2.81, 6 Er 2.86-2.99
Ir3 0.5000 0.1565 0.7451  5 Er 2.80-2.95, 2 Dy 3.00
Ir4 0.5000 0.8435 0.2451  5 Er 2.80-2.95, 2 Dy 3.00

Energy of formation   -761 meV/atom
Space group   Pmc2_1, No. 26
Polymorph energy (0 for the lowest one)   0 meV per atom
DOS(E_F)   0.941 states/eV per atom


3.
The following is a PBE calculation of a relaxed structure of Al3PbO, from the Alexandria database.

Lattice parameters (Å, degrees): 4.4599 4.4599 4.4599 90.00 90.00 90.00
Closest atoms and distances in Å follow each position.
Fractional coordinates of all 5 atoms:
Al1 0.0000 0.0000 0.5000  2 O 2.23
Al2 0.0000 0.5000 0.0000  2 O 2.23
Al3 0.5000 0.0000 0.0000  2 O 2.23
Pb1 0.5000 0.5000 0.5000  12 Al 3.15
O1 0.0000 0.0000 0.0000  6 Al 2.23

Space group   Pm-3m, No. 221
Polymorph energy (0 for the lowest one)   0 meV per atom
DOS(E_F)   0.379 states/eV per atom
ΔE_f (raw)   -0.23 eV/atom


4.
The following is a PBE calculation of a relaxed structure of RbGeP, from the Alexandria database.

Lattice parameters (Å, degrees): 6.9018 6.9123 7.0929 117.89 91.30 119.51
Closest atoms and distances in Å follow each position.
Fractional coordinates of all 6 atoms:
Rb1 0.0000 0.0000 0.0000  3 Ge 3.51-3.60, 4 P 3.52-3.57
Rb2 0.4926 0.9824 0.4766  3 Ge 3.58-3.92, 4 P 3.64-3.67
Ge1 0.5484 0.4704 0.0179  2 P 2.42, 1 Ge 2.58
Ge2 0.7941 0.6066 0.3916  2 P 2.42, 1 Ge 2.58
P1 0.5831 0.1588 0.0593  1 P 2.22, 2 Ge 2.42
P2 0.9004 0.4734 0.0527  1 P 2.22, 2 Ge 2.42

Energy of formation   -268 meV/atom

By: Hayley S. Murray  In a recent Supreme Court decision, United States Forest Service v. Cowpasture River Preservation Association, the Court was faced with the interaction of several federal laws governing certain agencies’ authority to grant use of public lands. In 2017, Atlantic Coast… Read more

Federal Court Rules Sunoco Owes $150 Million for Late Royalty Payments

By: Shawna R. Rinehart The court in Cline, et al. v. Sunoco, Inc. (R&M), et al. recently ruled that Sunoco, Inc. owes $150 million to the class action plaintiffs, consisting of more than 50,000 Oklahoma royalty owners, for purposely failing to pay interest on 1,596,945 late royalty payments… Read more

Hlavinka v. HSC Pipeline: A Win for Landowners

By Megan R. Knell      Landowners achieved another victory in the recent case of Hlavinka v. HSC Pipeline Partnership, LLC, in which the court revisited the pipeline company’s “common carrier” status based on the reasonable probability test established in Texas Rice and… Read more

Take It or Leave It: Gathering Agreements in a Post-Sabine World

By Megan R. Knell and William G. Bredthauer Gathering agreements have long been a staple in the oil and gas industry.  And, for decades, these agreements and the dedication provisions within them were construed as covenants running with the land.  As a result, the ruling in Sabine Oil… Read more

Back to Basics (Banker’s Edition): Forbearance Agreements

April 24, 2020 By Paul D. Bradford and Merrill E. Jones Because defaults, bankruptcies, or other distress may occur in the current oil and gas price environment, we wanted to discuss Forbearance Agreements. Forbearance Agreement: A Forbearance Agreement is a written agreement by Bank to refrain… Read more

Back to Basics (Banker’s Edition): Perfection of Oil and Gas Collateral

April 17, 2020 By Paul D. Bradford and Merrill E. Jones Because defaults, bankruptcies, or other distress may occur in the current oil and gas price environment, we wanted to highlight some key concepts related to perfection. Perfection of Liens and Security Interests in Oil and Gas Collateral… Read more

Back to Basics (Banker’s Edition): Cash and Production Proceeds

April 14, 2020 By Paul D. Bradford and Merrill E. Jones Because Borrowing Base deficiencies or other distress are likely in the current oil and gas price environment, we wanted to highlight some key concepts related to cash and production proceeds. Cash is King: Typically, the Bank’s term sheet… Read more

Back to Basics (Banker’s Edition): Mortgage and Title Coverage

April 9, 2020 By Paul D. Bradford and Merrill E. Jones Because the upcoming Borrowing Base season promises to be memorable, we wanted to highlight some key concepts related to mortgage and title coverage and Borrowing Base deficiencies. Required Mortgage and Title Coverage: Typically, a Loan… Read more

Protecting Royalty Interests in Bankruptcy

By Megan R. Knell and William G. Bredthauer In March of 2020, demand for oil began to steadily decline due to stay-at-home orders and self-quarantine measures that were implemented in response to the COVID-19 pandemic.  The significant decrease in demand led to an excessive supply of oil that… Read more

Implied Covenant to Market: Additional Considerations for Producers

By Hayley S. Murray and Megan R. Knell A shut-in clause (or shut-in royalty clause) typically allows for shut-in royalty payments as a substitute for actual production.  However, payment of shut-in royalties does not necessarily relieve a producer of its duties under the implied covenant to… Read more

Production in Paying Quantities

By Bryan J. May and Mark C. Matula  We have previously discussed shut-in, force majeure, continuous drilling, cessation of production, and commencement of operations lease provisions, which are known as lease savings clauses.  This brief note discusses production in paying quantities,… Read more

Back to Basics: Shut-In

By Paul B. Westbrook and Shawna R. Rinehart A shut-in clause (or shut-in royalty clause) traditionally allows the lessee to maintain the lease by making shut-in payments on a well capable of producing oil or gas in paying quantities where the oil or gas cannot be marketed, whether due to a lack of… Read more

Back to Basics: Force Majeure

By Paul B. Westbrook and Shawna R. Rinehart Force Majeure Clause: A force majeure clause is a lease provision designed to protect a lessee against termination of the lease resulting from governmental actions, acts of God, and other circumstances beyond the lessee’s control. Force majeure clauses… Read more

Back to Basics: Continuous Drilling

By Paul B. Westbrook and Shawna R. Rinehart Continuous drilling clauses are very similar to, and often intertwined with, some of the savings clauses often included in leases (especially a commencement of operations clause and a cessation of production clause). One difference from a commencement of… Read more

Back to Basics: Cessation of Production

By Paul B. Westbrook and Shawna R. Rinehart Cessation of Production: A cessation of production savings clause is primarily intended to prevent termination of the lease immediately upon the cessation of production, whether during the primary term, secondary term, or both. Certainly, the most… Read more

Back to Basics: Savings Clauses

Savings Clauses Generally: A savings clause is any express lease provision that can be used to maintain the lease past its primary term in the absence of actual production on the lease premises. Where a dispute arises regarding the continuing validity of a lease, the plaintiff bears the burden of… Read more